Repeat the whole of the material underneath with every line break kept.
'''
<one>
DFT (PBE-GGA) results for a relaxed CdB2H crystal.

Its density of states at the Fermi level is 2.3 states/eV/cell.

```
8
Lattice="-1.957 2.600 -0.871 -2.736 -1.782 0.829 -1.972 2.891 6.546" Properties=species:S:1:pos:R:3 pbc="T T T"
H -2.347 0.409 -0.021
H -3.527 0.759 3.677
B -1.569 1.475 1.414
B -2.937 0.584 1.828
B -3.923 2.029 5.101
B -4.902 3.329 4.666
Cd 0.000 0.000 0.000
Cd -3.138 2.950 2.827
```

***

<two>
DFT (PBE-GGA) results for a relaxed CdB2H crystal.

Its density of states at the Fermi level is 1.6 states/eV/cell.

```
4
Lattice="0.317 -3.730 1.230 -2.588 -1.445 2.597 -2.650 -2.684 -1.144" Properties=species:S:1:pos:R:3 pbc="T T T"
H 0.000 0.000 0.000
B -1.230 -1.965 0.671
B -3.691 -5.894 2.013
Cd -2.460 -3.930 1.342
```

***

Which structure loses on stability? <two> does.

***

<one>
DFT (PBE-GGA) results for a relaxed RbCdBH2 crystal.

Its density of states at the Fermi level is 2.7 states/eV/cell.

```
5
Lattice="-2.098 2.234 2.638 0.058 -6.312 5.391 3.456 1.381 1.579" Properties=species:S:1:pos:R:3 pbc="T T T"
H 1.728 0.690 0.790
H -1.049 1.117 1.319
B 0.708 -1.349 4.804
Rb 0.029 -3.156 2.696
Cd 0.000 0.000 0.000
```

***

<two>
DFT (PBE-GGA) results for a relaxed RbCdBH2 crystal.

Its density of states at the Fermi level is 0.3 states/eV/cell.

```
5
Lattice="-2.522 2.674 -2.765 -1.102 -3.445 -2.326 -3.662 -0.655 2.705" Properties=species:S:1:pos:R:3 pbc="T T T"
H -1.831 -0.327 1.353
H -1.261 1.337 -1.383
B 0.000 0.000 0.000
Rb -3.643 -0.713 -1.193
Cd -0.551 -1.723 -1.163
```

***

Which structure loses on stability? <one> does.

***

<one>
DFT (PBE-GGA) results for a relaxed HfCd3B crystal.

Its density of states at the Fermi level is 2.4 states/eV/cell.

```
5
Lattice="4.607 0.000 0.000 0.000 4.607 0.000 0.000 0.000 4.607" Properties=species:S:1:pos:R:3 pbc="T T T"
B 0.000 0.000 0.000
Hf 2.303 2.303 2.303
Cd 0.000 2.303 0.000
Cd 0.000 0.000 2.303
Cd 2.303 0.000 0.000
```

***

<two>
DFT (PBE-GGA) results for a relaxed HfCd3B crystal.

Its density of states at the Fermi level is 4.7 states/eV/cell.

```
5
Lattice="5.608 0.000 0.000 0.000 5.608 0.000 0.000 0.000 5.608" Properties=species:S:1:pos:R:3 pbc="T T T"
B 2.804 2.804 2.804
Hf 0.000 0.000 0.000
Cd 0.000 2.804 0.000
Cd 0.000 0.000 2.804
Cd 2.804 0.000 0.000
```

***

Which structure loses on stability? <two> does.

***

<one>
DFT (PBE-GGA) results for a relaxed HfCdB3 crystal.

Its density of states at the Fermi level is 2.3 states/eV/cell.

```
5
Lattice="-2.111 1.785 -3.194 1.193 -3.150 -2.549 -3.459 -2.176 1.070" Properties=species:S:1:pos:R:3 pbc="T T T"
B 0.597 -1.575 -1.275
B -1.730 -1.088 0.535
B -1.056 0.893 -1.597
Hf -2.188 -1.771 -2.337
Cd 0.000 0.000 0.000
```

***

<two>
DFT (PBE-GGA) results for a relaxed HfCdB3 crystal.

Its density of states at the Fermi level is 2.1 states/eV/cell.

```
5
Lattice="-0.258 -4.299 1.088 4.318 0.005 1.042 -1.010 1.118 4.179" Properties=species:S:1:pos:R:3 pbc="T T T"
B 2.159 0.002 0.521
B -0.505 0.559 2.089
B -0.129 -2.149 0.544
Hf 0.000 0.000 0.000
Cd 1.525 -1.588 3.154
```

***

Which structure loses on stability? <one> does.

***

<one>
DFT (PBE-GGA) results for a relaxed HfCd2NiB crystal.

Its density of states at the Fermi level is 6.1 states/eV/cell.

```
5
Lattice="5.643 0.000 0.000 0.000 4.535 0.000 0.000 0.000 5.643" Properties=species:S:1:pos:R:3 pbc="T T T"
Ni 0.000 2.268 0.000
B 2.822 2.268 2.822
Hf 0.000 0.000 0.000
Cd 0.000 0.000 2.822
Cd 2.822 0.000 0.000
```

***

<two>
DFT (PBE-GGA) results for a relaxed HfCd2NiB crystal.

Its density of states at the Fermi level is 2.5 states/eV/cell.

```
5
Lattice="4.772 0.000 0.000 0.000 4.684 0.000 0.000 0.000 4.772" Properties=species:S:1:pos:R:3 pbc="T T T"
Ni 0.000 0.000 0.000
B 2.386 2.342 2.386
Hf 0.000 2.342 0.000
Cd 0.000 0.000 2.386
Cd 2.386 0.000 0.000
```

***

Which structure loses on stability? <one> does.

***

<one>
DFT (PBE-GGA) results for a relaxed HfCdTcB2 crystal.
'''
<one>
DFT (PBE-GGA) results for a relaxed CdB2H crystal.

Its density of states at the Fermi level is 2.3 states/eV/cell.

```
8
Lattice="-1.957 2.600 -0.871 -2.736 -1.782 0.829 -1.972 2.891 6.546" Properties=species:S:1:pos:R:3 pbc="T T T"
H -2.347 0.409 -0.021
H -3.527 0.759 3.677
B -1.569 1.475 1.414
B -2.937 0.584 1.828
B -3.923 2.029 5.101
B -4.902 3.329 4.666
Cd 0.000 0.000 0.000
Cd -3.138 2.950 2.827
```

***

<two>
DFT (PBE-GGA) results for a relaxed CdB2H crystal.

Its density of states at the Fermi level is 1.6 states/eV/cell.

```
4
Lattice="0.317 -3.730 1.230 -2.588 -1.445 2.597 -2.650 -2.684 -1.144" Properties=species:S:1:pos:R:3 pbc="T T T"
H 0.000 0.000 0.000
B -1.230 -1.965 0.671
B -3.691 -5.894 2.013
Cd -2.460 -3.930 1.342
```

***

Which structure loses on stability? <two> does.

***

<one>
DFT (PBE-GGA) results for a relaxed RbCdBH2 crystal.

Its density of states at the Fermi level is 2.7 states/eV/cell.

```
5
Lattice="-2.098 2.234 2.638 0.058 -6.312 5.391 3.456 1.381 1.579" Properties=species:S:1:pos:R:3 pbc="T T T"
H 1.728 0.690 0.790
H -1.049 1.117 1.319
B 0.708 -1.349 4.804
Rb 0.029 -3.156 2.696
Cd 0.000 0.000 0.000
```

***

<two>
DFT (PBE-GGA) results for a relaxed RbCdBH2 crystal.

Its density of states at the Fermi level is 0.3 states/eV/cell.

```
5
Lattice="-2.522 2.674 -2.765 -1.102 -3.445 -2.326 -3.662 -0.655 2.705" Properties=species:S:1:pos:R:3 pbc="T T T"
H -1.831 -0.327 1.353
H -1.261 1.337 -1.383
B 0.000 0.000 0.000
Rb -3.643 -0.713 -1.193
Cd -0.551 -1.723 -1.163
```

***

Which structure loses on stability? <one> does.

***

<one>
DFT (PBE-GGA) results for a relaxed HfCd3B crystal.

Its density of states at the Fermi level is 2.4 states/eV/cell.

```
5
Lattice="4.607 0.000 0.000 0.000 4.607 0.000 0.000 0.000 4.607" Properties=species:S:1:pos:R:3 pbc="T T T"
B 0.000 0.000 0.000
Hf 2.303 2.303 2.303
Cd 0.000 2.303 0.000
Cd 0.000 0.000 2.303
Cd 2.303 0.000 0.000
```

***

<two>
DFT (PBE-GGA) results for a relaxed HfCd3B crystal.

Its density of states at the Fermi level is 4.7 states/eV/cell.

```
5
Lattice="5.608 0.000 0.000 0.000 5.608 0.000 0.000 0.000 5.608" Properties=species:S:1:pos:R:3 pbc="T T T"
B 2.804 2.804 2.804
Hf 0.000 0.000 0.000
Cd 0.000 2.804 0.000
Cd 0.000 0.000 2.804
Cd 2.804 0.000 0.000
```

***

Which structure loses on stability? <two> does.

***

<one>
DFT (PBE-GGA) results for a relaxed HfCdB3 crystal.

Its density of states at the Fermi level is 2.3 states/eV/cell.

```
5
Lattice="-2.111 1.785 -3.194 1.193 -3.150 -2.549 -3.459 -2.176 1.070" Properties=species:S:1:pos:R:3 pbc="T T T"
B 0.597 -1.575 -1.275
B -1.730 -1.088 0.535
B -1.056 0.893 -1.597
Hf -2.188 -1.771 -2.337
Cd 0.000 0.000 0.000
```

***

<two>
DFT (PBE-GGA) results for a relaxed HfCdB3 crystal.

Its density of states at the Fermi level is 2.1 states/eV/cell.

```
5
Lattice="-0.258 -4.299 1.088 4.318 0.005 1.042 -1.010 1.118 4.179" Properties=species:S:1:pos:R:3 pbc="T T T"
B 2.159 0.002 0.521
B -0.505 0.559 2.089
B -0.129 -2.149 0.544
Hf 0.000 0.000 0.000
Cd 1.525 -1.588 3.154
```

***

Which structure loses on stability? <one> does.

***

<one>
DFT (PBE-GGA) results for a relaxed HfCd2NiB crystal.

Its density of states at the Fermi level is 6.1 states/eV/cell.

```
5
Lattice="5.643 0.000 0.000 0.000 4.535 0.000 0.000 0.000 5.643" Properties=species:S:1:pos:R:3 pbc="T T T"
Ni 0.000 2.268 0.000
B 2.822 2.268 2.822
Hf 0.000 0.000 0.000
Cd 0.000 0.000 2.822
Cd 2.822 0.000 0.000
```

***

<two>
DFT (PBE-GGA) results for a relaxed HfCd2NiB crystal.

Its density of states at the Fermi level is 2.5 states/eV/cell.

```
5
Lattice="4.772 0.000 0.000 0.000 4.684 0.000 0.000 0.000 4.772" Properties=species:S:1:pos:R:3 pbc="T T T"
Ni 0.000 0.000 0.000
B 2.386 2.342 2.386
Hf 0.000 2.342 0.000
Cd 0.000 0.000 2.386
Cd 2.386 0.000 0.000
```

***

Which structure loses on stability? <one> does.

***

<one>
DFT (PBE-GGA) results for a relaxed HfCdTcB2 crystal.